_File_
(1)
First-principles (GGA+U) data for a relaxed structure of Li5MnHO4, as listed in the Materials Project.

Cell lengths 8.815, 9.162, 10.921 Å; angles 90.00, 90.00, 90.00 degrees
Sites, in units of the cell vectors:
Li1 0.979 0.580 0.195
Li2 0.979 0.920 0.195
Li3 0.067 0.073 0.434
Li4 0.067 0.427 0.434
Li5 0.071 0.750 0.439
Li6 0.120 0.250 0.981
Li7 0.110 0.568 0.990
Li8 0.110 0.932 0.990
Li9 0.203 0.577 0.640
Li10 0.203 0.923 0.640
Li11 0.297 0.077 0.140
Li12 0.297 0.423 0.140
Li13 0.390 0.068 0.490
Li14 0.390 0.432 0.490
Li15 0.380 0.750 0.481
Li16 0.429 0.250 0.939
Li17 0.433 0.573 0.934
Li18 0.433 0.927 0.934
Li19 0.521 0.080 0.695
Li20 0.521 0.420 0.695
Li21 0.479 0.580 0.305
Li22 0.479 0.920 0.305
Li23 0.567 0.073 0.066
Li24 0.567 0.427 0.066
Li25 0.571 0.750 0.061
Li26 0.620 0.250 0.519
Li27 0.610 0.568 0.510
Li28 0.610 0.932 0.510
Li29 0.703 0.577 0.860
Li30 0.703 0.923 0.860
Li31 0.797 0.077 0.360
Li32 0.797 0.423 0.360
Li33 0.890 0.068 0.010
Li34 0.890 0.432 0.010
Li35 0.880 0.750 0.019
Li36 0.929 0.250 0.561
Li37 0.933 0.927 0.566
Li38 0.933 0.573 0.566
Li39 0.021 0.080 0.805
Li40 0.021 0.420 0.805
Mn1 0.019 0.250 0.215
Mn2 0.209 0.250 0.656
Mn3 0.291 0.750 0.156
Mn4 0.481 0.750 0.715
Mn5 0.519 0.250 0.285
Mn6 0.709 0.250 0.844
Mn7 0.791 0.750 0.344
Mn8 0.981 0.750 0.785
H1 0.172 0.579 0.331
H2 0.172 0.921 0.331
H3 0.328 0.079 0.831
H4 0.328 0.421 0.831
H5 0.672 0.579 0.169
H6 0.672 0.921 0.169
H7 0.828 0.079 0.669
H8 0.828 0.421 0.669
O1 0.062 0.750 0.617
O2 0.079 0.418 0.114
O3 0.079 0.082 0.114
O4 0.062 0.415 0.618
O5 0.062 0.085 0.618
O6 0.077 0.750 0.103
O7 0.233 0.064 0.877
O8 0.233 0.436 0.877
O9 0.267 0.564 0.377
O10 0.267 0.936 0.377
O11 0.423 0.250 0.603
O12 0.438 0.585 0.118
O13 0.438 0.915 0.118
O14 0.421 0.582 0.614
O15 0.421 0.918 0.614
O16 0.438 0.250 0.117
O17 0.562 0.750 0.883
O18 0.579 0.082 0.386
O19 0.579 0.418 0.386
O20 0.562 0.085 0.882
O21 0.562 0.415 0.882
O22 0.577 0.750 0.397
O23 0.733 0.064 0.623
O24 0.733 0.436 0.623
O25 0.767 0.564 0.123
O26 0.767 0.936 0.123
O27 0.923 0.250 0.897
O28 0.938 0.915 0.382
O29 0.938 0.585 0.382
O30 0.921 0.918 0.886
O31 0.921 0.582 0.886
O32 0.938 0.250 0.383

Summary:
Total moment = 5.0 μB/f.u.
Formation energy = -1.88 eV/atom
Crystal system = orthorhombic

(2)
First-principles (GGA+U) data for a relaxed structure of Li2Mn3P4H4O16, as listed in the Materials Project.

Cell lengths 8.249, 8.904, 9.226 Å; angles 80.55, 90.00, 90.00 degrees
Sites, in units of the cell vectors:
Li1 0.330 0.016 0.028
Li2 0.170 0.016 0.528
Li3 0.830 0.984 0.472
Li4 0.670 0.984 0.972
Mn1 0.500 0.500 0.000
Mn2 0.139 0.651 0.005
Mn3 0.639 0.349 0.495
Mn4 0.000 0.500 0.500
Mn5 0.361 0.651 0.505
Mn6 0.861 0.349 0.995
P1 0.566 0.175 0.227
P2 0.803 0.617 0.204
P3 0.303 0.383 0.296
P4 0.066 0.825 0.273
P5 0.934 0.175 0.727
P6 0.697 0.617 0.704
P7 0.197 0.383 0.796
P8 0.434 0.825 0.773
H1 0.000 0.111 0.217
H2 0.041 0.276 0.234
H3 0.541 0.724 0.266
H4 0.500 0.889 0.283
H5 0.500 0.111 0.717
H6 0.459 0.276 0.734
H7 0.959 0.724 0.766
H8 0.000 0.889 0.783
O1 0.634 0.314 0.123
O2 0.003 0.214 0.159
O3 0.926 0.548 0.110
O4 0.539 0.040 0.145
O5 0.291 0.480 0.142
O6 0.640 0.658 0.130
O7 0.162 0.861 0.129
O8 0.380 0.218 0.271
O9 0.880 0.782 0.229
O10 0.662 0.139 0.371
O11 0.140 0.342 0.370
O12 0.791 0.520 0.358
O13 0.039 0.960 0.355
O14 0.426 0.452 0.390
O15 0.503 0.786 0.341
O16 0.134 0.686 0.377
O17 0.866 0.314 0.623
O18 0.497 0.214 0.659
O19 0.574 0.548 0.610
O20 0.961 0.040 0.645
O21 0.209 0.480 0.642
O22 0.860 0.658 0.630
O23 0.338 0.861 0.629
O24 0.120 0.218 0.771
O25 0.620 0.782 0.729
O26 0.838 0.139 0.871
O27 0.360 0.342 0.870
O28 0.709 0.520 0.858
O29 0.461 0.960 0.855
O30 0.074 0.452 0.890
O31 0.997 0.786 0.841
O32 0.366 0.686 0.877

Summary:
Total moment = 15.0 μB/f.u.
Formation energy = -2.33 eV/atom
Crystal system = monoclinic

(3)
First-principles (GGA+U) data for a relaxed structure of LiMnP3H10O14, as listed in the Materials Project.

_Work order_
Next, print everything earlier on with every line break kept.

_Done_
(1)
First-principles (GGA+U) data for a relaxed structure of Li5MnHO4, as listed in the Materials Project.

Cell lengths 8.815, 9.162, 10.921 Å; angles 90.00, 90.00, 90.00 degrees
Sites, in units of the cell vectors:
Li1 0.979 0.580 0.195
Li2 0.979 0.920 0.195
Li3 0.067 0.073 0.434
Li4 0.067 0.427 0.434
Li5 0.071 0.750 0.439
Li6 0.120 0.250 0.981
Li7 0.110 0.568 0.990
Li8 0.110 0.932 0.990
Li9 0.203 0.577 0.640
Li10 0.203 0.923 0.640
Li11 0.297 0.077 0.140
Li12 0.297 0.423 0.140
Li13 0.390 0.068 0.490
Li14 0.390 0.432 0.490
Li15 0.380 0.750 0.481
Li16 0.429 0.250 0.939
Li17 0.433 0.573 0.934
Li18 0.433 0.927 0.934
Li19 0.521 0.080 0.695
Li20 0.521 0.420 0.695
Li21 0.479 0.580 0.305
Li22 0.479 0.920 0.305
Li23 0.567 0.073 0.066
Li24 0.567 0.427 0.066
Li25 0.571 0.750 0.061
Li26 0.620 0.250 0.519
Li27 0.610 0.568 0.510
Li28 0.610 0.932 0.510
Li29 0.703 0.577 0.860
Li30 0.703 0.923 0.860
Li31 0.797 0.077 0.360
Li32 0.797 0.423 0.360
Li33 0.890 0.068 0.010
Li34 0.890 0.432 0.010
Li35 0.880 0.750 0.019
Li36 0.929 0.250 0.561
Li37 0.933 0.927 0.566
Li38 0.933 0.573 0.566
Li39 0.021 0.080 0.805
Li40 0.021 0.420 0.805
Mn1 0.019 0.250 0.215
Mn2 0.209 0.250 0.656
Mn3 0.291 0.750 0.156
Mn4 0.481 0.750 0.715
Mn5 0.519 0.250 0.285
Mn6 0.709 0.250 0.844
Mn7 0.791 0.750 0.344
Mn8 0.981 0.750 0.785
H1 0.172 0.579 0.331
H2 0.172 0.921 0.331
H3 0.328 0.079 0.831
H4 0.328 0.421 0.831
H5 0.672 0.579 0.169
H6 0.672 0.921 0.169
H7 0.828 0.079 0.669
H8 0.828 0.421 0.669
O1 0.062 0.750 0.617
O2 0.079 0.418 0.114
O3 0.079 0.082 0.114
O4 0.062 0.415 0.618
O5 0.062 0.085 0.618
O6 0.077 0.750 0.103
O7 0.233 0.064 0.877
O8 0.233 0.436 0.877
O9 0.267 0.564 0.377
O10 0.267 0.936 0.377
O11 0.423 0.250 0.603
O12 0.438 0.585 0.118
O13 0.438 0.915 0.118
O14 0.421 0.582 0.614
O15 0.421 0.918 0.614
O16 0.438 0.250 0.117
O17 0.562 0.750 0.883
O18 0.579 0.082 0.386
O19 0.579 0.418 0.386
O20 0.562 0.085 0.882
O21 0.562 0.415 0.882
O22 0.577 0.750 0.397
O23 0.733 0.064 0.623
O24 0.733 0.436 0.623
O25 0.767 0.564 0.123
O26 0.767 0.936 0.123
O27 0.923 0.250 0.897
O28 0.938 0.915 0.382
O29 0.938 0.585 0.382
O30 0.921 0.918 0.886
O31 0.921 0.582 0.886
O32 0.938 0.250 0.383

Summary:
Total moment = 5.0 μB/f.u.
Formation energy = -1.88 eV/atom
Crystal system = orthorhombic

(2)
First-principles (GGA+U) data for a relaxed structure of Li2Mn3P4H4O16, as listed in the Materials Project.

Cell lengths 8.249, 8.904, 9.226 Å; angles 80.55, 90.00, 90.00 degrees
Sites, in units of the cell vectors:
Li1 0.330 0.016 0.028
Li2 0.170 0.016 0.528
Li3 0.830 0.984 0.472
Li4 0.670 0.984 0.972
Mn1 0.500 0.500 0.000
Mn2 0.139 0.651 0.005
Mn3 0.639 0.349 0.495
Mn4 0.000 0.500 0.500
Mn5 0.361 0.651 0.505
Mn6 0.861 0.349 0.995
P1 0.566 0.175 0.227
P2 0.803 0.617 0.204
P3 0.303 0.383 0.296
P4 0.066 0.825 0.273
P5 0.934 0.175 0.727
P6 0.697 0.617 0.704
P7 0.197 0.383 0.796
P8 0.434 0.825 0.773
H1 0.000 0.111 0.217
H2 0.041 0.276 0.234
H3 0.541 0.724 0.266
H4 0.500 0.889 0.283
H5 0.500 0.111 0.717
H6 0.459 0.276 0.734
H7 0.959 0.724 0.766
H8 0.000 0.889 0.783
O1 0.634 0.314 0.123
O2 0.003 0.214 0.159
O3 0.926 0.548 0.110
O4 0.539 0.040 0.145
O5 0.291 0.480 0.142
O6 0.640 0.658 0.130
O7 0.162 0.861 0.129
O8 0.380 0.218 0.271
O9 0.880 0.782 0.229
O10 0.662 0.139 0.371
O11 0.140 0.342 0.370
O12 0.791 0.520 0.358
O13 0.039 0.960 0.355
O14 0.426 0.452 0.390
O15 0.503 0.786 0.341
O16 0.134 0.686 0.377
O17 0.866 0.314 0.623
O18 0.497 0.214 0.659
O19 0.574 0.548 0.610
O20 0.961 0.040 0.645
O21 0.209 0.480 0.642
O22 0.860 0.658 0.630
O23 0.338 0.861 0.629
O24 0.120 0.218 0.771
O25 0.620 0.782 0.729
O26 0.838 0.139 0.871
O27 0.360 0.342 0.870
O28 0.709 0.520 0.858
O29 0.461 0.960 0.855
O30 0.074 0.452 0.890
O31 0.997 0.786 0.841
O32 0.366 0.686 0.877

Summary:
Total moment = 15.0 μB/f.u.
Formation energy = -2.33 eV/atom
Crystal system = monoclinic

(3)
First-principles (GGA+U) data for a relaxed structure of LiMnP3H10O14, as listed in the Materials Project.